____________
The following is a PBE calculation of a geometry-optimized AgBOF2 structure, from the Alexandria database.

```
data_AgBOF2
_space_group_name_H-M_alt 'P 4/m m m'
_space_group_IT_number 123
_space_group_name_Hall '-P 4 2'
_cell_length_a 4.3683
_cell_length_b 4.3683
_cell_length_c 2.6807
_cell_angle_alpha 90.00
_cell_angle_beta 90.00
_cell_angle_gamma 90.00
loop_
_atom_site_label
_atom_site_fract_x
_atom_site_fract_y
_atom_site_fract_z
_atom_site_occupancy
Ag1 0.0000 0.0000 0.0000 1
B1 0.5000 0.5000 0.5000 1
O1 0.5000 0.5000 0.0000 1
F1 0.0000 0.5000 0.5000 1
```

## Properties
E_form (uncorrected) = -1.33 eV per atom
DOS(E_F) = 0.000 states/eV per atom

----------

K2CdP2 | Alexandria | GGA-PBE | optimized geometry; excess energy over the best structure of this formula in the dataset = 132.4 meV/atom; energy of formation from the pure elements = -38 meV/atom; symmetry = I4/mmm; DOS at the Fermi energy = 0.248 states/eV per atom
1.0
6.1997 0.0000 0.0000
0.0000 6.1997 0.0000
3.0998 3.0998 4.6378
Cd P K
1 2 2
Direct
0.0000 0.0000 0.0000 Cd
0.3883 0.3883 0.2234 P
0.6117 0.6117 0.7766 P
0.2500 0.7500 0.5000 K
0.7500 0.2500 0.5000 K
____________

What is needed: retype only the last part of the entries above, starting with the line that has "_atom_site_fract_x".

_atom_site_fract_x
_atom_site_fract_y
_atom_site_fract_z
_atom_site_occupancy
Ag1 0.0000 0.0000 0.0000 1
B1 0.5000 0.5000 0.5000 1
O1 0.5000 0.5000 0.0000 1
F1 0.0000 0.5000 0.5000 1
```

## Properties
E_form (uncorrected) = -1.33 eV per atom
DOS(E_F) = 0.000 states/eV per atom

----------

K2CdP2 | Alexandria | GGA-PBE | optimized geometry; excess energy over the best structure of this formula in the dataset = 132.4 meV/atom; energy of formation from the pure elements = -38 meV/atom; symmetry = I4/mmm; DOS at the Fermi energy = 0.248 states/eV per atom
1.0
6.1997 0.0000 0.0000
0.0000 6.1997 0.0000
3.0998 3.0998 4.6378
Cd P K
1 2 2
Direct
0.0000 0.0000 0.0000 Cd
0.3883 0.3883 0.2234 P
0.6117 0.6117 0.7766 P
0.2500 0.7500 0.5000 K
0.7500 0.2500 0.5000 K